Hurt foot - how to excercise?

I sprained and bruised my toes almost three weeks ago and I am still recovering. I am in a boot on my left foot and finally just got off the crutches. Anyway, do any of you have any suggestions as to how to exercise since I can barley walk right now?


  • lukimakamai
    lukimakamai Posts: 498 Member
    stationary bike?
  • Elzecat
    Elzecat Posts: 2,916 Member
    did you see the Biggest Loser show tonight? one of the women has a stress fracture in the knee area and can't do any weight bearing exercises...they had her sitting/standing doing arm exercises and like doing jumping jacks (without the jumping part) etc...also a lot of swimming.
  • sexygenius
    sexygenius Posts: 1,078 Member
    swimming, and air punches are good for cardio... you can even add some weights in there
  • livinginwoods
    livinginwoods Posts: 562 Member
    I am afraid to do a bike because I cant move some of my toes still as they are still bruising and painful. But I am watching Biggest Loser right now on my DVR and have not gotten to that part yet. That might work for me if I can sit down and do it......which I am sure I can. :) Thanks!
  • beautyonhold
    Do anything that doesn't involve leg work. I'd suggest lifting some weights, or if you go to a gym do some upper body strength. If you can swim, that's a beautiful exercise as well. You could also do sit ups/crunches or pull ups. Any upper body exercises would be great. Just don't over do it! Slowly work into getting back to walking/exercising your legs. I've broken my leg five times in the last few years due to sports so i'm familiar with the healing process on injuries like that. It's frustrating, but just take it easy and let it heal.
  • pinkgigi
    pinkgigi Posts: 693 Member
    when I hurt my foot, I concentrated on upper body workouts, and there are some standing exercises that you can do that increase heart-rate, like squats and in a seated position on the wall. Also, you can do lots of crunches.

    The main thing for me was to not let myself get slack, so going to the gym, walking (even when it hurt a bit), was still OK. You could also use this time to increase your flexibility.

    After the pain subsided a little, I did the stationary bike, the recumbant was the best as it put the least amount of pressure on my foot.

    Good luck, and great healing.

  • winslow44238
    I completely understand, as I am still struggling with a bad knee. (Dropped my motorcycle July 5th and then got an infection that re-opened the sutures) I know exactly what you mean about the fear of making it worse. Lots of ice will help the swelling, and get some stretches in. Think yoga type. Focus on your core and try to do as much as possible sitting or laying on your back.

    I would do some flexing of my legs with only gravity tugging as I swing my leg in small circles while laying on my back. Also, put a thin magazine under the small of your back while laying flat, and have someone try to pull it out while you press your back to the floor. It actually strengthens the stomach muscles. Since you hurt your foot, focus on your core, and back. strenthening those muscles is important because limping from your foot is going to pull everything out of whack. Get your posture strong and work the upper body, the foot will follow in time.

    Hopefully you start physical therapy soon. They will help you too.
  • livinginwoods
    livinginwoods Posts: 562 Member
    Thank you for all of the info and tips! I should have no excuses!!
  • Nyrissa
    Nyrissa Posts: 40
    I have a disorder that causes one of my feet to swell up to a point where only surgery to remove the extra tissue can make it go away. So I know all too well what you mean.

-- begin --
[1]
Below is a relaxed structure of CeSmMg2, with properties calculated at the GGA-PBE level.

Cell lengths 5.422, 5.422, 5.422 Å; angles 60.00, 60.00, 60.00 degrees
Fractional coordinates of all 4 atoms:
Ce 0.500 0.500 0.500
Sm 0.000 0.000 0.000
Mg 0.250 0.250 0.250
Mg 0.750 0.750 0.750

Calculated values
- E_form (eV per atom) = -0.01
- SG = Fm-3m



[2]
Below is a relaxed structure of La6Co13Sn, with properties calculated at the GGA-PBE level.

Cell lengths 8.058, 8.058, 12.847 Å; angles 108.28, 108.28, 90.00 degrees
Fractional coordinates of all 40 atoms:
Co 0.065 0.214 0.000
Co 0.475 0.975 0.177
Co 0.267 0.120 0.888
Co 0.565 0.286 0.000
Co 0.620 0.767 0.888
Co 0.202 0.475 0.177
Co 0.798 0.525 0.823
Co 0.380 0.233 0.112
Co 0.767 0.267 0.888
Co 0.500 0.000 0.000
Co 0.000 0.500 0.000
Co 0.702 0.202 0.177
Co 0.935 0.786 0.000
Co 0.880 0.380 0.112
Co 0.525 0.025 0.823
Co 0.435 0.714 0.000
Co 0.733 0.880 0.112
Co 0.120 0.620 0.888
Co 0.714 0.565 0.000
Co 0.214 0.935 0.000
Co 0.975 0.702 0.177
Co 0.233 0.733 0.112
Co 0.286 0.435 0.000
Co 0.025 0.298 0.823
Co 0.786 0.065 0.000
Co 0.298 0.798 0.823
La 0.600 0.600 0.201
La 0.981 0.481 0.638
La 0.400 0.400 0.799
La 0.157 0.981 0.638
La 0.657 0.157 0.638
La 0.019 0.519 0.362
La 0.519 0.343 0.362
La 0.481 0.657 0.638
La 0.843 0.019 0.362
La 0.343 0.843 0.362
La 0.900 0.900 0.799
La 0.100 0.100 0.201
Sn 0.250 0.250 0.500
Sn 0.750 0.750 0.500

Calculated values
- E_form (eV per atom) = -0.16
- SG = I4/mcm



[3]
Below is a relaxed structure of Ce5Mg, with properties calculated at the GGA-PBE level.

Cell lengths 5.786, 5.786, 5.498 Å; angles 90.00, 90.00, 120.00 degrees
Fractional coordinates of all 6 atoms:
Ce 0.667 0.333 0.500
Ce 0.654 0.654 0.000
Ce 0.346 0.000 0.000
Ce 0.333 0.667 0.500
Ce 0.000 0.346 0.000
Mg 0.000 0.000 0.500

Calculated values
- ΔE to the lowest computed polymorph (eV/atom) = 0.0183
- E_form (eV per atom) = 0.09
- SG = P-62m



[4]
Below is a relaxed structure of MgTi2Se4O12, with properties calculated at the GGA-PBE level.

Cell lengths 4.940, 6.788, 8.740 Å; angles 89.87, 87.10, 111.32 degrees
Fractional coordinates of all 19 atoms:
O 0.074 0.716 0.955
O 0.665 0.282 0.557
O 0.817 0.634 0.323
O 0.184 0.051 0.134
O 0.750 0.249 0.068
O 0.490 0.779 0.150
O 0.090 0.363 0.340
O 0.940 0.700 0.661
O 0.718 0.907 0.849
O 0.394 0.764 0.453
O 0.384 0.167 0.826
O 0.233 0.410 0.649
Mg 0.049 0.534 0.143
Se 0.682 0.842 0.318
Se 0.381 0.296 0.227
Se 0.773 0.671 0.845
Se 0.317 0.180 0.638
Ti 0.484 0.021 0.995
Ti 0.032 0.517 0.510

Calculated values
- E_form (eV per atom) = -2.02
- SG = P1

=====

Density functional theory data (PBE) for a geometry-optimized MgSb2H24O18 structure.

abc: 16.238 16.238 9.933
angles: 90.00 90.00 120.00
Fractional coordinates of all 270 atoms:
Mg 0.006 0.324 0.000
Mg 0.318 0.994 0.000
Mg 0.345 0.340 0.999
Mg 0.660 0.005 0.999
Mg 0.676 0.682 0.000
Mg 0.995 0.655 0.999
Sb 0.000 0.000 0.461
Sb 0.000 0.000 0.952
Sb 0.001 0.670 0.498
Sb 0.330 0.331 0.498
-- stop --

    You can try Yoga. I was doing it on the Wii Fit and it wanted me to do both legs (when a pose involved standing on just one), but you can just do the one. There are also a lot of sitting poses you can do.